• Excerpt:
- - -
1.
This entry pairs a crystal structure of Be2Ag with its computed powder XRD pattern. Radiation: a wavelength of 1.5418 Å. Structure: a structure optimized by DFT (PBE).
Lines closer than 0.1° are merged.

Atomic structure:
```
Be2Ag
1.0
3.360 0.000 0.000
0.000 3.360 0.000
0.000 0.000 6.141
Be Ag
4 2
Direct
0.250 0.250 0.248
0.250 0.750 0.000
0.750 0.250 0.000
0.750 0.750 0.752
0.250 0.250 0.663
0.750 0.750 0.337
```

Main lines, in order of rising 2θ (10° ≤ 2θ ≤ 80°):
(0 0 1), d = 6.141 Å, rel. 46; (1 0 1), d = 2.948 Å, rel. 100; (1 1 0), d = 2.376 Å, rel. 43; (1 0 2), d = 2.267 Å, rel. 58; (1 1 1), d = 2.216 Å, rel. 23; (0 0 3), d = 2.047 Å, rel. 15; (2 0 0), d = 1.680 Å, rel. 17; (1 1 3), d = 1.551 Å, rel. 19; (2 1 1), d = 1.460 Å, rel. 22; (2 1 2), d = 1.350 Å, rel. 21



2.
This entry pairs a crystal structure of CsS4 with its computed powder XRD pattern. Radiation: a wavelength of 1.5418 Å. Structure: a structure optimized by DFT (PBE).
Lines closer than 0.1° are merged.

Atomic structure:
```
CsS4
1.0
5.114 0.000 0.000
0.001 5.421 0.000
2.311 0.124 5.752
Cs S
1 4
Direct
0.000 0.000 0.000
0.322 0.688 0.384
0.332 0.332 0.365
0.668 0.668 0.635
0.678 0.312 0.616
```

Main lines, in order of rising 2θ (10° ≤ 2θ ≤ 80°):
(0 1 1), d = 3.988 Å, rel. 79; (0 1 -1), d = 3.903 Å, rel. 80; (1 -1 0), d = 3.584 Å, rel. 49; (1 1 0), d = 3.556 Å, rel. 55; (1 1 1), d = 3.522 Å, rel. 41; (1 -1 1), d = 3.489 Å, rel. 46; (1 0 -1), d = 3.132 Å, rel. 100; (1 0 2), d = 3.006 Å, rel. 83; (2 0 1), d = 2.554 Å, rel. 57; (1 2 0), d = 2.345 Å, rel. 34
- - -

• Request:
The reader should quote all of the entries further up word for word.

• Done:
1.
This entry pairs a crystal structure of Be2Ag with its computed powder XRD pattern. Radiation: a wavelength of 1.5418 Å. Structure: a structure optimized by DFT (PBE).
Lines closer than 0.1° are merged.

Atomic structure:
```
Be2Ag
1.0
3.360 0.000 0.000
0.000 3.360 0.000
0.000 0.000 6.141
Be Ag
4 2
Direct
0.250 0.250 0.248
0.250 0.750 0.000
0.750 0.250 0.000
0.750 0.750 0.752
0.250 0.250 0.663
0.750 0.750 0.337
```

Main lines, in order of rising 2θ (10° ≤ 2θ ≤ 80°):
(0 0 1), d = 6.141 Å, rel. 46; (1 0 1), d = 2.948 Å, rel. 100; (1 1 0), d = 2.376 Å, rel. 43; (1 0 2), d = 2.267 Å, rel. 58; (1 1 1), d = 2.216 Å, rel. 23; (0 0 3), d = 2.047 Å, rel. 15; (2 0 0), d = 1.680 Å, rel. 17; (1 1 3), d = 1.551 Å, rel. 19; (2 1 1), d = 1.460 Å, rel. 22; (2 1 2), d = 1.350 Å, rel. 21



2.
This entry pairs a crystal structure of CsS4 with its computed powder XRD pattern. Radiation: a wavelength of 1.5418 Å. Structure: a structure optimized by DFT (PBE).
Lines closer than 0.1° are merged.

Atomic structure:
```
CsS4
1.0
5.114 0.000 0.000
0.001 5.421 0.000
2.311 0.124 5.752
Cs S
1 4
Direct
0.000 0.000 0.000
0.322 0.688 0.384
0.332 0.332 0.365
0.668 0.668 0.635
0.678 0.312 0.616
```

Main lines, in order of rising 2θ (10° ≤ 2θ ≤ 80°):
(0 1 1), d = 3.988 Å, rel. 79; (0 1 -1), d = 3.903 Å, rel. 80; (1 -1 0), d = 3.584 Å, rel. 49; (1 1 0), d = 3.556 Å, rel. 55; (1 1 1), d = 3.522 Å, rel. 41; (1 -1 1), d = 3.489 Å, rel. 46; (1 0 -1), d = 3.132 Å, rel. 100; (1 0 2), d = 3.006 Å, rel. 83; (2 0 1), d = 2.554 Å, rel. 57; (1 2 0), d = 2.345 Å, rel. 34